Assignment
Now duplicate the data underneath from the first line to the one with "2.119 0.981" verbatim.

File
# 1
4
Lattice="0.000 3.231 3.231 3.231 0.000 3.231 3.231 3.231 0.000" Properties=species:S:1:pos:R:3 comment="PaMn2Ga | Materials Project | r²SCAN | optimized geometry" m_tot_mub_per_cell=5.35 crystal_system=cubic sg="Fm-3m, No. 225" pbc="T T T"
Pa 0.000 0.000 0.000
Mn 1.615 1.615 1.615
Mn 4.846 4.846 4.846
Ga 3.231 3.231 3.231

=====

# 2
8
Lattice="3.080 0.000 0.000 -1.540 2.668 0.000 0.000 0.000 13.933" Properties=species:S:1:pos:R:3 comment="Ta2AlC | Materials Project | r²SCAN | optimized geometry" m_tot_mub_per_cell=0.00 crystal_system=hexagonal sg="P6_3/mmc, No. 194" pbc="T T T"
Ta 0.000 1.779 1.252
Ta 0.000 1.779 5.715
Ta 1.540 0.889 8.219
Ta 1.540 0.889 12.682
Al 0.000 1.779 10.450
Al 1.540 0.889 3.483
C 0.000 0.000 0.000
C 0.000 0.000 6.967

=====

# 3
5
Lattice="-1.895 6.566 1.897 1.895 -6.566 1.897 1.895 6.566 -1.897" Properties=species:S:1:pos:R:3 comment="Er2SbO2 | Materials Project | r²SCAN | optimized geometry" m_tot_mub_per_cell=0.00 crystal_system=orthorhombic sg="Imm2, No. 44" pbc="T T T"
Er 0.000 2.189 0.000
Er 0.000 10.942 0.000
Sb 1.895 0.000 1.891
O 1.895 3.285 0.000
O 0.000 3.281 1.897

=====

# 4
5
Lattice="-1.878 1.878 7.143 1.878 -1.878 7.143 1.878 1.878 -7.143" Properties=species:S:1:pos:R:3 comment="RbCo2As2 | Materials Project | r²SCAN | optimized geometry" m_tot_mub_per_cell=0.00 crystal_system=tetragonal sg="I4/mmm, No. 139" pbc="T T T"
Rb 0.000 0.000 0.000
Co 1.878 0.000 3.571
Co 0.000 1.878 3.571
As 0.000 0.000 4.879
As 0.000 0.000 9.407

=====

# 5
5
Lattice="-2.298 2.298 5.186 2.298 -2.298 5.186 2.298 2.298 -5.186" Properties=species:S:1:pos:R:3 comment="BaGe3Pd | Materials Project | r²SCAN | optimized geometry" m_tot_mub_per_cell=0.00 crystal_system=tetragonal sg="I4mm, No. 107" pbc="T T T"
Ba 0.000 0.000 0.000
Ge 2.298 0.000 2.612
Ge 0.000 0.000 4.086
Ge 0.000 2.298 2.612
Pd 0.000 0.000 6.707

=====

# 6
32
Lattice="11.016 0.000 0.000 0.000 3.923 0.000 0.000 0.000 11.441" Properties=species:S:1:pos:R:3 comment="La2TiO5 | Materials Project | r²SCAN | optimized geometry" m_tot_mub_per_cell=0.00 crystal_system=orthorhombic sg="Pnma, No. 62" pbc="T T T"
La 1.066 0.981 2.469
La 1.501 0.981 6.415
La 4.008 2.943 0.695
La 4.442 2.943 8.189
La 6.575 0.981 3.251
La 7.009 0.981 10.746
La 9.516 2.943 5.026
La 9.950 2.943 8.972
Ti 2.119 0.981 9.987
Ti 3.390 2.943 4.266
Ti 7.627 0.981 7.175
Ti 8.898 2.943 1.454
O 0.089 2.943 6.887
O 0.395 0.981 9.511
O 2.429 2.943 2.630
O 2.497 0.981 0.396
O 2.613 2.943 10.027
O 2.895 0.981 4.307
O 3.011 2.943 6.116
O 3.079 0.981 8.351
O 5.113 2.943 3.791
O 5.419 0.981 1.167
O 5.598 2.943 10.274
O 5.903 0.981 7.650
O 7.937 2.943 3.090
O 8.006 0.981 5.325
O 8.121 2.943 7.134
O 8.404 0.981 1.414
O 8.519 2.943 11.045
O 8.588 0.981 8.811
O 10.621 2.943 1.929
O 10.927 0.981 4.553

=====

| no. | VASP energy (eV per cell) | E_form (eV/atom) |
| --- | --- | --- |
| 1 | -118.16 | -0.12 |
| 2 | -232.37 | -0.58 |
| 3 | -120.68 | -3.04 |
| 4 | -71.71 | -0.38 |
| 5 | -93.87 | -0.56 |
| 6 | -527.67 | -3.70 |

Reply
# 1
4
Lattice="0.000 3.231 3.231 3.231 0.000 3.231 3.231 3.231 0.000" Properties=species:S:1:pos:R:3 comment="PaMn2Ga | Materials Project | r²SCAN | optimized geometry" m_tot_mub_per_cell=5.35 crystal_system=cubic sg="Fm-3m, No. 225" pbc="T T T"
Pa 0.000 0.000 0.000
Mn 1.615 1.615 1.615
Mn 4.846 4.846 4.846
Ga 3.231 3.231 3.231

=====

# 2
8
Lattice="3.080 0.000 0.000 -1.540 2.668 0.000 0.000 0.000 13.933" Properties=species:S:1:pos:R:3 comment="Ta2AlC | Materials Project | r²SCAN | optimized geometry" m_tot_mub_per_cell=0.00 crystal_system=hexagonal sg="P6_3/mmc, No. 194" pbc="T T T"
Ta 0.000 1.779 1.252
Ta 0.000 1.779 5.715
Ta 1.540 0.889 8.219
Ta 1.540 0.889 12.682
Al 0.000 1.779 10.450
Al 1.540 0.889 3.483
C 0.000 0.000 0.000
C 0.000 0.000 6.967

=====

# 3
5
Lattice="-1.895 6.566 1.897 1.895 -6.566 1.897 1.895 6.566 -1.897" Properties=species:S:1:pos:R:3 comment="Er2SbO2 | Materials Project | r²SCAN | optimized geometry" m_tot_mub_per_cell=0.00 crystal_system=orthorhombic sg="Imm2, No. 44" pbc="T T T"
Er 0.000 2.189 0.000
Er 0.000 10.942 0.000
Sb 1.895 0.000 1.891
O 1.895 3.285 0.000
O 0.000 3.281 1.897

=====

# 4
5
Lattice="-1.878 1.878 7.143 1.878 -1.878 7.143 1.878 1.878 -7.143" Properties=species:S:1:pos:R:3 comment="RbCo2As2 | Materials Project | r²SCAN | optimized geometry" m_tot_mub_per_cell=0.00 crystal_system=tetragonal sg="I4/mmm, No. 139" pbc="T T T"
Rb 0.000 0.000 0.000
Co 1.878 0.000 3.571
Co 0.000 1.878 3.571
As 0.000 0.000 4.879
As 0.000 0.000 9.407

=====

# 5
5
Lattice="-2.298 2.298 5.186 2.298 -2.298 5.186 2.298 2.298 -5.186" Properties=species:S:1:pos:R:3 comment="BaGe3Pd | Materials Project | r²SCAN | optimized geometry" m_tot_mub_per_cell=0.00 crystal_system=tetragonal sg="I4mm, No. 107" pbc="T T T"
Ba 0.000 0.000 0.000
Ge 2.298 0.000 2.612
Ge 0.000 0.000 4.086
Ge 0.000 2.298 2.612
Pd 0.000 0.000 6.707

=====

# 6
32
Lattice="11.016 0.000 0.000 0.000 3.923 0.000 0.000 0.000 11.441" Properties=species:S:1:pos:R:3 comment="La2TiO5 | Materials Project | r²SCAN | optimized geometry" m_tot_mub_per_cell=0.00 crystal_system=orthorhombic sg="Pnma, No. 62" pbc="T T T"
La 1.066 0.981 2.469
La 1.501 0.981 6.415
La 4.008 2.943 0.695
La 4.442 2.943 8.189
La 6.575 0.981 3.251
La 7.009 0.981 10.746
La 9.516 2.943 5.026
La 9.950 2.943 8.972
Ti 2.119 0.981 9.987